What's the key goal of mental exercising? Is it to simply be happy in the moment or is there more to it than that? Surely we want to use our fit minds for a purpose... and one of the key results of mental exercising is mental agility. And that makes life a whole new... plate game!
There are 635 other "plates" in The Archive! Worth a look... one "viewer" recently told me that he was about one-third of the way through the whole archive which dates all the way back to 2008.
Today's tip is horribly simple and you can do it right now - click here to sign up to the free training that I'm currently running online: 3 sessions - 2hrs in total - loads of downloads and exercises.
We started Tuesday and the whole thing will run until Saturday night, Feb.1st... so get your skates one.
And, if you have already signed up, as many of you have, you need to spend some time reflecting before you put pen to paper (you know what I mean).
Now that was one of the simplest Quick Tips we've had in all these years!
You might wonder why someone would work his or her way through The Archive of videos, tips, articles and stories that stretch all the way back to 2008. Indeed, you might also wonder why some of my other clients have printed out all the articles and tips... all 635 of them to date (never mind the impact of all that printing!).
The point is that, very often, when we hear or read the same thing in a different way - even the slightest turn of phrase can make the difference - another penny drops. Indeed, most of the owners of The Psychology of Success Online Program repeatedly go back to the start and, in doing so, understand things that they didn't understand first time around... some wonder if they'd even watched some of the earlier material such was their level of focus when they started out the Program!
You and I are on a journey. It's a journey of discovery where we more deeply understand not so much who we are but what we can - I didn't use the conditional "could" - be... how we can liberate ourselves from the flawed way of using our minds that, sure enough, got us through one day after another but, in the process, held us back. There's a world of difference between survival and living life to the full!
With that in mind, we all need to remember, that we never stop learning. Even a cursory glance at the latest research in psychology and neuroscience shows just how much learning has taken place over the last year or two... and how exciting that learning is.
I sometimes have people unsubscribe from The Mind Boggles because they're "heard it all" before... the terrible thing is that, thanks to GDPR, I can't reply to them and say, "No you have not!"... none of us has heard it all and, as we put one foot in front of each other in our everdyay lives, we need to keep our eyes and ears open, the journey has only just really begun.
So... I would urge you to lap up this information, keep lapping it up. Immerse yourself.
I'm in "launch mode" this week... there's a whole new free training online - if you haven't signed up for it, you can do it right here, right now - which is always the best time to do anything!
That means, like any other normal crazy person, technology is driving me to distraction... well, almost - I'm making sure that I'm walking every day at the moment. Which brings me to this week's story...
Monday, as I stepped lightly across a pedestrian crossing, I was sideswiped by, of all things, an ambulance. I've heard of ambulance chasing, but this was ridiculous! I assume they were out touting for business.
That was strange enough but what happened next took it to a whole new level. A couple of metres down the road, the ambulance stopped and the driver stuck his head out the window and shouted:
Unrelated to this page: calculated crystals >
<<<
Structure and computed X-ray powder pattern of Fe2CoRhO6 (DFT lattice parameters and positions (GGA+U); Cu Ka).
Kinematic intensities with the Lorentz-polarization factor, no thermal factor.

Atomic structure:
Lattice parameters (Å, degrees): 5.3957 5.3957 5.3957 55.15 55.15 55.15
Positions (direct):
Fe: 0.0000 0.0000 0.0000
Fe: 0.4918 0.4918 0.4918
Co: 0.8018 0.8018 0.8018
Rh: 0.2974 0.2974 0.2974
O: 0.0872 0.7068 0.4072
O: 0.1995 0.5979 0.8804
O: 0.4072 0.0872 0.7068
O: 0.5979 0.8804 0.1995
O: 0.7068 0.4072 0.0872
O: 0.8804 0.1995 0.5979

Principal peaks in the range 5° ≤ 2θ ≤ 70°, in order of falling intensity:
d [Å], 2θ (°), I (rel.)
2.683, 33.40, 100
2.498, 35.95, 99
1.684, 54.49, 79
3.656, 24.34, 65
1.828, 49.88, 38
1.442, 64.63, 37
1.475, 63.01, 34
2.191, 41.21, 19
4.125, 21.54, 12
1.590, 57.99, 12

~~~~~

[1]
# Mn2FeWO6
Computed XRD peak list, Cu Kα (λ = 1.5418 Å). Input: a structure optimized by DFT (GGA+U).

Peak list (10 most intense, 2θ from 10° to 90°, by intensity)
(hkl)  two_theta  I (rel.)
1 0 4  31.7  100
1 1 0  33.5  86
0 1 2  22.9  64
1 0 1  20.1  52
0 2 4  46.8  44
1 1 6  51.5  42
2 1 4  58.7  37
3 0 0  59.9  28
1 1 3  38.6  25
0 0 3  18.7  20

abc: 5.3523 5.3523 14.2427
angles: 90.00 90.00 120.00
Space group R3 (No. 146, hexagonal axes)
Symmetry-distinct sites (fractional):
Mn  0.0000  0.0000  0.0000 x3
Mn  0.0000  0.0000  0.4981 x3
Fe  0.0000  0.0000  0.7801 x3
W  0.0000  0.0000  0.2864 x3
O  0.0286  0.6356  0.0424 x9
O  0.0498  0.3376  0.8814 x9


[2]
# MnZnFe4O8
Computed XRD peak list, Cu Kα (λ = 1.5418 Å). Input: a structure optimized by DFT (GGA+U).

Peak list (10 most intense, 2θ from 10° to 90°, by intensity)
(hkl)  two_theta  I (rel.)
3 1 1  34.7  100
4 4 0  61.2  45
5 1 1  55.8  37
2 2 0  29.5  32
4 0 0  42.2  18
5 5 3  87.5  17
4 2 2  52.3  11
5 3 3  72.3  10
1 1 1  17.9  9
2 2 2  36.3  8

abc: 8.5652 8.5652 8.5652
angles: 90.00 90.00 90.00
Space group F-43m (No. 216)
Symmetry-distinct sites (fractional):
Mn  0.0000  0.0000  0.0000 x4
Zn  0.2500  0.2500  0.2500 x4
Fe  0.1254  0.1254  0.6254 x16
O  0.1146  0.1146  0.3854 x16
O  0.1372  0.1372  0.8628 x16


[3]
# Mn3ZnFe8O16
Computed XRD peak list, Cu Kα (λ = 1.5418 Å). Input: a structure optimized by DFT (GGA+U).

Peak list (10 most intense, 2θ from 10° to 90°, by intensity)
(hkl)  two_theta  I (rel.)
2 0 2  34.6  100
3 0 6  55.6  36
1 1 0  29.4  30
2 2 0  61.0  23
0 2 16  61.1  23
2 0 8  42.1  20
0 1 2  17.9  12
1 4 6  87.1  10
0 0 12  36.2  9
0 4 2  72.1  8

abc: 6.0780 6.0780 29.6962
angles: 90.00 90.00 120.00
Space group R3m (No. 160, hexagonal axes)
Symmetry-distinct sites (fractional):
Mn  0.0000  0.0000  0.0000 x3
Mn  0.0000  0.0000  0.1255 x3
Mn  0.0000  0.0000  0.6250 x3
Zn  0.0000  0.0000  0.4999 x3
Fe  0.0000  0.0000  0.3127 x3
Fe  0.0000  0.0000  0.8125 x3
Fe  0.9996  0.4998  0.5622 x9
Fe  0.1670  0.3340  0.3964 x9
O  0.0000  0.0000  0.1936 x3
O  0.0000  0.0000  0.4327 x3
O  0.0000  0.0000  0.6935 x3
O  0.0000  0.0000  0.9312 x3
>>>
So much for the calculated crystals >
"What kind of moron are you, walking on a pedestrian crossing?" What kind of moron indeed.